********
12
Lattice="-1.343 0.962 4.527 4.119 -1.404 2.074 2.901 6.373 0.304" Properties=species:S:1:pos:R:3 comment="Li2SnGeF8 GGA-PBE relaxed" raw_formation_energy_ev_per_atom=-2.547 dos_at_fermi_per_ev_atom=0.00 magnetic_moment_mub_per_atom=0.00 pbc="T T T"
Ge 0.000 0.000 0.000
Sn 1.450 3.186 0.152
F 2.324 3.012 2.275
F 2.096 5.635 4.291
F 3.351 2.919 4.629
F 0.306 1.712 4.094
F 3.483 6.017 1.960
F 2.193 -0.086 4.945
F 5.369 4.219 2.811
F 3.579 0.296 2.613
Li 3.362 4.390 3.245
Li 2.314 1.541 3.660

----------

First-principles (GGA+U) data for a relaxed structure of FeCuF, as listed in Alexandria via LeMat-Bulk.

Cell: 4.895 2.869 5.837 Å, 90.00 101.48 90.00°
Site moments in Bohr magnetons follow the coordinates.
Fractional positions:
1 Fe 0.516 0.250 0.276  3.65
2 Fe 0.484 0.750 0.724  3.65
3 Cu 0.904 0.250 0.637  0.06
4 Cu 0.096 0.750 0.363  0.06
5 F 0.277 0.250 0.923  0.05
6 F 0.723 0.750 0.077  0.05

## Properties
ΔE to the lowest computed polymorph: 154 meV per atom

----------

[1]
5
Lattice="-0.211 -1.832 4.929 -2.420 -4.346 -1.719 4.669 -2.336 -0.668" Properties=species:S:1:pos:R:3 comment="TiVPb3, optimized geometry, DFT GGA-PBE" formation_energy_ev_per_atom=0.79 de_polymorph_mev_per_atom=0 crystal_system=cubic spacegroup=Pm-3m pbc="T T T"
Pb 2.335 -1.168 -0.334
V 0.000 0.000 0.000
Pb -1.210 -2.173 -0.860
Pb -0.106 -0.916 2.465
Ti 1.019 -4.257 1.271


[2]
5
Lattice="5.382 0.000 0.000 0.000 4.864 0.000 0.000 0.000 5.382" Properties=species:S:1:pos:R:3 comment="BeHg2PtCl, optimized geometry, DFT GGA-PBE" formation_energy_uncorrected_kcal_per_mol_atoms=13.21 crystal_system=tetragonal spacegroup=P4/mmm pbc="T T T"
Hg 2.691 0.000 0.000
Be 2.691 2.432 2.691
Cl 0.000 2.432 0.000
Pt 0.000 0.000 0.000
Hg 0.000 0.000 2.691


[3]
6
Lattice="0.000 4.088 4.088 4.088 0.000 4.088 4.088 4.088 0.000" Properties=species:S:1:pos:R:3 comment="In2Fe, optimized geometry, DFT GGA-PBE" formation_energy_ev_per_atom=0.88 crystal_system=cubic spacegroup=Fd-3m pbc="T T T"
Fe 6.132 6.132 6.132
In 3.066 3.066 1.022
In 1.022 3.066 3.066
Fe 4.088 4.088 4.088
In 1.022 1.022 1.022
In 3.066 1.022 3.066


[4]
7
Lattice="4.453 0.000 0.000 -2.227 5.344 0.113 0.000 -2.705 6.162" Properties=species:S:1:pos:R:3 comment="Sm2Ga3Au2, optimized geometry, DFT GGA-PBE" formation_energy_ev_per_atom=-0.67 de_polymorph_mev_per_atom=7 crystal_system=monoclinic spacegroup=C2/m pbc="T T T"
Ga 2.227 0.000 0.000
Au 0.000 0.974 1.583
Ga 2.227 -0.140 2.652
Sm 0.000 -0.508 4.819
Au 2.227 1.665 4.692
Ga 0.000 2.779 3.622
Sm 2.227 3.148 1.456


[5]
4
Lattice="-0.074 1.820 -3.911 2.120 0.355 -3.740 -2.291 -3.720 -2.492" Properties=species:S:1:pos:R:3 comment="CrCdCo2, optimized geometry, DFT GGA-PBE" formation_energy_ev_per_atom=0.41 crystal_system=monoclinic spacegroup=C2/m pbc="T T T"
Co -2.145 -3.495 -2.435
Cd -0.061 -0.386 -2.536
Cr -0.184 -1.158 -7.607
Co -0.268 -0.997 -5.128


[6]
4
Lattice="3.295 0.000 0.000 1.648 2.854 0.000 1.648 0.951 8.470" Properties=species:S:1:pos:R:3 comment="Hf2BeTl, optimized geometry, DFT GGA-PBE" formation_energy_ev_per_atom=0.13 de_polymorph_mev_per_atom=0 crystal_system=trigonal spacegroup=R-3m pbc="T T T"
Tl 3.295 1.902 4.235
Hf 1.648 0.951 1.696
Be 0.000 0.000 0.000
Hf 4.943 2.854 6.774


The E_tot results, record by record, are as follows: -24.2, -9.4, -22.6, -29.7, -23.1, -25.5 eV/cell.
The M_tot results, record by record, are as follows: 3.14, 0.00, 6.24, 0.00, 2.22, 0.00 Bohr magnetons per cell.

----------

Record 1
Compound: CaSmGa2
Source: Alexandria via LeMat-Bulk
Functional: PBE-GGA
Structure: optimized geometry

Results
- N(E_F): 3.72 states/eV per cell
- E_form: -526 meV/atom

Structure (CIF):
```
data_CaSmGa2
_chemical_formula_sum 'Ca1 Sm1 Ga2'
_cell_length_a 4.404
_cell_length_b 4.198
_cell_length_c 6.030
_cell_angle_alpha 90.00
_cell_angle_beta 111.44
_cell_angle_gamma 90.00
_space_group_name_H-M_alt 'P 1'
_space_group_IT_number 1
loop_
_space_group_symop_operation_xyz
'x,y,z'
loop_
_atom_site_label
_atom_site_fract_x
********
Next, transcribe the data earlier on exactly.
12
Lattice="-1.343 0.962 4.527 4.119 -1.404 2.074 2.901 6.373 0.304" Properties=species:S:1:pos:R:3 comment="Li2SnGeF8 GGA-PBE relaxed" raw_formation_energy_ev_per_atom=-2.547 dos_at_fermi_per_ev_atom=0.00 magnetic_moment_mub_per_atom=0.00 pbc="T T T"
Ge 0.000 0.000 0.000
Sn 1.450 3.186 0.152
F 2.324 3.012 2.275
F 2.096 5.635 4.291
F 3.351 2.919 4.629
F 0.306 1.712 4.094
F 3.483 6.017 1.960
F 2.193 -0.086 4.945
F 5.369 4.219 2.811
F 3.579 0.296 2.613
Li 3.362 4.390 3.245
Li 2.314 1.541 3.660

----------

First-principles (GGA+U) data for a relaxed structure of FeCuF, as listed in Alexandria via LeMat-Bulk.

Cell: 4.895 2.869 5.837 Å, 90.00 101.48 90.00°
Site moments in Bohr magnetons follow the coordinates.
Fractional positions:
1 Fe 0.516 0.250 0.276  3.65
2 Fe 0.484 0.750 0.724  3.65
3 Cu 0.904 0.250 0.637  0.06
4 Cu 0.096 0.750 0.363  0.06
5 F 0.277 0.250 0.923  0.05
6 F 0.723 0.750 0.077  0.05

## Properties
ΔE to the lowest computed polymorph: 154 meV per atom

----------

[1]
5
Lattice="-0.211 -1.832 4.929 -2.420 -4.346 -1.719 4.669 -2.336 -0.668" Properties=species:S:1:pos:R:3 comment="TiVPb3, optimized geometry, DFT GGA-PBE" formation_energy_ev_per_atom=0.79 de_polymorph_mev_per_atom=0 crystal_system=cubic spacegroup=Pm-3m pbc="T T T"
Pb 2.335 -1.168 -0.334
V 0.000 0.000 0.000
Pb -1.210 -2.173 -0.860
Pb -0.106 -0.916 2.465
Ti 1.019 -4.257 1.271


[2]
5
Lattice="5.382 0.000 0.000 0.000 4.864 0.000 0.000 0.000 5.382" Properties=species:S:1:pos:R:3 comment="BeHg2PtCl, optimized geometry, DFT GGA-PBE" formation_energy_uncorrected_kcal_per_mol_atoms=13.21 crystal_system=tetragonal spacegroup=P4/mmm pbc="T T T"
Hg 2.691 0.000 0.000
Be 2.691 2.432 2.691
Cl 0.000 2.432 0.000
Pt 0.000 0.000 0.000
Hg 0.000 0.000 2.691


[3]
6
Lattice="0.000 4.088 4.088 4.088 0.000 4.088 4.088 4.088 0.000" Properties=species:S:1:pos:R:3 comment="In2Fe, optimized geometry, DFT GGA-PBE" formation_energy_ev_per_atom=0.88 crystal_system=cubic spacegroup=Fd-3m pbc="T T T"
Fe 6.132 6.132 6.132
In 3.066 3.066 1.022
In 1.022 3.066 3.066
Fe 4.088 4.088 4.088
In 1.022 1.022 1.022
In 3.066 1.022 3.066


[4]
7
Lattice="4.453 0.000 0.000 -2.227 5.344 0.113 0.000 -2.705 6.162" Properties=species:S:1:pos:R:3 comment="Sm2Ga3Au2, optimized geometry, DFT GGA-PBE" formation_energy_ev_per_atom=-0.67 de_polymorph_mev_per_atom=7 crystal_system=monoclinic spacegroup=C2/m pbc="T T T"
Ga 2.227 0.000 0.000
Au 0.000 0.974 1.583
Ga 2.227 -0.140 2.652
Sm 0.000 -0.508 4.819
Au 2.227 1.665 4.692
Ga 0.000 2.779 3.622
Sm 2.227 3.148 1.456


[5]
4
Lattice="-0.074 1.820 -3.911 2.120 0.355 -3.740 -2.291 -3.720 -2.492" Properties=species:S:1:pos:R:3 comment="CrCdCo2, optimized geometry, DFT GGA-PBE" formation_energy_ev_per_atom=0.41 crystal_system=monoclinic spacegroup=C2/m pbc="T T T"
Co -2.145 -3.495 -2.435
Cd -0.061 -0.386 -2.536
Cr -0.184 -1.158 -7.607
Co -0.268 -0.997 -5.128


[6]
4
Lattice="3.295 0.000 0.000 1.648 2.854 0.000 1.648 0.951 8.470" Properties=species:S:1:pos:R:3 comment="Hf2BeTl, optimized geometry, DFT GGA-PBE" formation_energy_ev_per_atom=0.13 de_polymorph_mev_per_atom=0 crystal_system=trigonal spacegroup=R-3m pbc="T T T"
Tl 3.295 1.902 4.235
Hf 1.648 0.951 1.696
Be 0.000 0.000 0.000
Hf 4.943 2.854 6.774


The E_tot results, record by record, are as follows: -24.2, -9.4, -22.6, -29.7, -23.1, -25.5 eV/cell.
The M_tot results, record by record, are as follows: 3.14, 0.00, 6.24, 0.00, 2.22, 0.00 Bohr magnetons per cell.

----------

Record 1
Compound: CaSmGa2
Source: Alexandria via LeMat-Bulk
Functional: PBE-GGA
Structure: optimized geometry

Results
- N(E_F): 3.72 states/eV per cell
- E_form: -526 meV/atom

Structure (CIF):
```
data_CaSmGa2
_chemical_formula_sum 'Ca1 Sm1 Ga2'
_cell_length_a 4.404
_cell_length_b 4.198
_cell_length_c 6.030
_cell_angle_alpha 90.00
_cell_angle_beta 111.44
_cell_angle_gamma 90.00
_space_group_name_H-M_alt 'P 1'
_space_group_IT_number 1
loop_
_space_group_symop_operation_xyz
'x,y,z'
loop_
_atom_site_label
_atom_site_fract_x